
Search the Loving Each Day Quotes

Between two parts of the text: molecular data:
No. 1
8 unconnected molecules or ions with the total composition C48H120O32P8, computed with the ωB97M-V functional and the def2-TZVPD basis.

Results
ΔE to the lowest compared entry with this formula, charge and spin (kcal/mol): 194.2
2S+1: 1
Net charge: 0
LUMO energy (eV): 0.129
SMILES: CCOP(=O)(OCC)OCC.CCOP(=O)(OCC)OCC.CCOP(=O)(OCC)OCC.CCOP(=O)(OCC)OCC.CCOP(=O)(OCC)OCC.CCOP(=O)(OCC)OCC.CCOP(=O)(OCC)OCC.CCOP(=O)(OCC)OCC
Strongest force on any atom (eV Å⁻¹): 5.437
Kohn-Sham gap (eV): 10.3072

Each line ends with the Mulliken charge.
CARTESIAN COORDINATES (ANGSTROEM)
C 12.73 17.81 -9.95  -1.19
C 12.75 16.53 -8.97  0.32
O 12.91 15.33 -9.78  -0.14
P 11.59 14.35 -10.09  0.52
O 10.31 15.06 -9.75  -0.44
O 11.80 13.00 -9.21  -0.51
C 11.37 13.03 -7.92  0.48
C 12.62 12.54 -7.13  -1.35
O 11.73 14.04 -11.65  -0.43
C 11.68 15.08 -12.69  0.50
C 10.26 15.31 -13.03  -1.11
H 11.78 18.05 -10.43  0.23
H 13.08 18.68 -9.41  0.65
H 13.58 17.78 -10.62  0.15
H 13.68 16.69 -8.43  0.27
H 11.91 16.31 -8.31  -0.04
H 11.03 14.00 -7.56  0.02
H 10.54 12.33 -7.80  0.18
H 13.40 13.16 -6.68  0.29
H 12.26 11.84 -6.37  0.31
H 13.32 12.08 -7.82  0.43
H 12.18 16.02 -12.47  -0.19
H 12.02 14.68 -13.65  0.30
H 10.03 15.42 -14.09  0.37
H 9.65 14.53 -12.58  0.38
H 9.78 16.25 -12.74  0.09
C 11.04 20.00 -13.31  -1.02
C 9.98 20.90 -12.58  0.15
O 9.90 20.47 -11.21  0.36
P 8.40 20.52 -10.50  0.02
O 8.43 20.20 -9.01  -0.65
O 7.88 22.04 -10.72  0.24
C 7.67 22.78 -9.50  -0.73
C 6.67 23.91 -9.82  -0.37
O 7.51 19.52 -11.50  0.02
C 6.44 18.83 -11.02  0.44
C 6.86 17.62 -10.28  -1.24
H 12.04 20.11 -12.89  0.30
H 10.72 18.96 -13.35  -0.09
H 11.34 20.33 -14.31  0.50
H 10.48 21.87 -12.57  -0.42
H 8.99 20.92 -13.02  0.54
H 7.38 22.15 -8.66  0.45
H 8.65 23.24 -9.33  0.33
H 5.91 23.97 -9.04  0.35
H 7.23 24.84 -9.89  -0.44
H 6.12 23.60 -10.71  0.23
H 5.94 19.45 -10.28  0.06
H 5.72 18.66 -11.82  0.04
H 7.37 17.88 -9.35  0.08
H 6.02 16.94 -10.15  0.50
H 7.63 17.11 -10.85  0.20
C 12.42 23.04 -10.35  -1.07
C 11.52 24.28 -10.76  -0.01
O 11.42 24.39 -12.16  0.35
P 11.85 25.68 -12.99  0.03
O 13.28 26.07 -12.99  -0.79
O 11.28 25.54 -14.54  -0.22
C 11.64 24.37 -15.37  0.81
C 12.98 24.48 -15.99  -1.32
O 10.81 26.73 -12.36  -0.09
C 10.86 28.10 -12.80  -0.61
C 9.49 28.36 -13.53  -0.80
H 13.42 23.28 -10.71  0.39
H 12.64 22.74 -9.32  0.42
H 12.18 22.02 -10.65  0.03
H 10.47 24.19 -10.46  -0.06
H 12.05 25.10 -10.30  0.51
H 11.52 23.43 -14.84  -0.31
H 10.92 24.26 -16.18  0.08
H 13.20 25.53 -16.20  0.29
H 13.79 24.06 -15.40  0.29
H 12.87 23.96 -16.94  0.41
H 10.93 28.80 -11.97  0.46
H 11.68 28.48 -13.41  0.41
H 9.61 28.79 -14.52  0.33
H 9.05 27.40 -13.81  0.17
H 8.68 28.86 -13.00  0.27
C 10.04 17.53 -16.08  -1.00
C 9.20 18.75 -16.30  0.12
O 10.07 19.90 -16.47  -0.09
P 9.39 21.32 -17.14  0.20
O 10.39 22.30 -17.64  -0.79
O 8.36 20.82 -18.25  -0.15
C 8.82 20.27 -19.44  -0.30
C 7.81 19.36 -20.20  -1.30
O 8.45 21.93 -15.97  0.27
C 7.08 22.46 -16.31  0.04
C 7.24 23.98 -16.26  -1.25
H 9.33 16.70 -16.03  0.44

Here are three ways to search through the history of over 5,000 Loving Each Day quotes by John-Roger and John Morton.

The force that is the Supreme Lord of all universes is so omnipotent and so far beyond what the human mind can envision that there are no words that can describe or give sense to it. Since language is a primary form of communication, however, we use words as reference points that have meaning to most of us.

John-Roger, DSS
In order to expand into a higher level of consciousness, you must have less holding you here. You must let go.

John-Roger, DSS
Make your choices carefully. If you go into manipulation, resentment, greed, etc., that is what will come back to you. Instead, choose freedom.

John-Roger, DSS
When you are aware that each person progresses at his or her own rate, when you are aware that the mistakes others make are more painful to them than anyone else, then, in your awareness, you will hold for them. You will never take away your love because of something they do or don't do.

John-Roger, DSS
As long as your teen child/adult is doing no physical harm to him or herself or anyone else, you may as well see the humor in what they are doing and know that this, too, shall pass. In case you don't think so, just remember yourself, your attitudes, and your dress when you were a teen.

John-Roger, DSS

April 15, 2003

[Quantum chemistry results from another source follow]
____________
1.
Below is a structure of composition C19H12AsI2IrN3OS4Se2, with properties calculated with wB97M-V/def2-TZVPD.

Element x y z (Å)
Ir (0.198, 0.012, -0.037)
Se (-3.235, 1.042, 0.984)
Se (-1.208, 2.924, 1.100)
C (-0.687, 1.665, 2.386)
C (-0.814, 1.942, 3.739)
C (-0.474, 0.978, 4.668)
C (-0.024, -0.246, 4.212)
C (0.086, -0.450, 2.854)
N (-0.225, 0.490, 1.944)
C (-2.866, 1.115, -0.861)
C (-3.880, 1.489, -1.742)
C (-3.610, 1.655, -3.082)
C (-2.313, 1.480, -3.522)
C (-1.354, 1.110, -2.604)
N (-1.600, 0.887, -1.296)
H (-1.197, 2.908, 4.032)
H (-0.567, 1.177, 5.728)
H (0.259, -1.039, 4.890)
H (0.452, -1.383, 2.462)
H (-4.868, 1.668, -1.342)
H (-4.391, 1.954, -3.770)
H (-2.035, 1.634, -4.555)
H (-0.337, 0.993, -2.922)
I (-2.890, -4.231, 0.128)
C (-1.492, -3.621, -1.286)
C (-1.228, -4.412, -2.413)
C (-0.276, -4.040, -3.325)
I (0.072, -5.298, -4.962)
C (0.472, -2.852, -3.145)
C (1.545, -2.416, -3.961)
C (2.232, -1.285, -3.638)
C (1.840, -0.521, -2.526)
N (0.826, -0.880, -1.774)
C (0.161, -2.052, -2.031)
C (-0.823, -2.425, -1.052)
O (-1.015, -1.677, -0.009)
H (-1.773, -5.336, -2.548)
H (1.829, -3.004, -4.825)
H (3.081, -0.955, -4.220)
H (2.369, 0.384, -2.244)
S (3.201, 1.599, 2.924)
As (3.088, 0.952, 0.933)
S (2.212, -1.062, 0.731)
S (1.403, 1.997, -0.119)
S (4.763, 1.253, -0.302)

Calculated values
HOMO-LUMO gap (alpha / beta): 0.1816 / 0.1702 hartree
Net charge: -1
Highest occupied orbital energy (alpha / beta): -4.3 / -4.2 eV

---

2.
Below is a structure of composition C19H12Cl3CuI2N3O3Se, with properties calculated with wB97M-V/def2-TZVPD.

Element x y z (Å)
Cu (1.988, -0.016, -1.419)
I (-1.913, -3.369, -1.581)
C (-0.945, -2.449, 0.012)
C (-1.400, -2.681, 1.323)
C (-0.776, -2.131, 2.409)
I (-1.595, -2.435, 4.303)
C (0.385, -1.336, 2.230)
C (1.156, -0.739, 3.254)
C (2.263, 0.004, 2.943)
C (2.619, 0.180, 1.594)
N (1.909, -0.351, 0.628)
C (0.817, -1.105, 0.910)
C (0.137, -1.624, -0.247)
O (0.560, -1.298, -1.431)
H (-2.277, -3.298, 1.463)
H (0.866, -0.883, 4.286)
H (2.867, 0.456, 3.717)
H (3.485, 0.758, 1.293)
Cl (6.417, 2.931, -3.006)
C (5.602, 2.046, -1.727)
Cl (6.653, 0.748, -1.143)
Cl (5.235, 3.157, -0.374)
C (4.217, 1.493, -2.203)
O (3.699, 1.959, -3.190)
O (3.765, 0.603, -1.398)
C (-2.088, 0.306, -3.258)
N (-1.811, 0.727, -1.896)
C (-0.697, 1.346, -1.481)
Se (0.804, 1.851, -2.481)
N (-0.793, 1.496, -0.144)
C (-1.964, 0.924, 0.328)
C (-2.482, 0.765, 1.604)
C (-3.688, 0.094, 1.704)
C (-4.350, -0.395, 0.573)
C (-3.831, -0.232, -0.701)
C (-2.620, 0.436, -0.798)
H (-1.315, 0.714, -3.902)
H (-3.063, 0.684, -3.562)
H (-2.071, -0.781, -3.310)
H (-0.061, 1.932, 0.393)
H (-1.962, 1.130, 2.480)
H (-4.123, -0.067, 2.682)
H (-5.287, -0.922, 0.697)
H (-4.332, -0.628, -1.572)

Calculated values
HOMO-LUMO gap (alpha / beta): 0.2757 / 0.2514 hartree
Multiplicity: 2
Highest occupied orbital energy (alpha / beta): -8.1 / -8.1 eV

---

3.
Below is a structure of composition C29H25F3N4O2ReS4Sb, with properties calculated with wB97M-V/def2-TZVPD.

Element x y z (Å)
____________

When we don't understand, when we don't compute, when we don't realize what's going on, that's a good time to step back. When you step back, you can still stay connected in your heart.

John Morton, DSS
Make it a habit to be loyal to the activities that serve the highest part of yourself.

== Inserted here: molecular data ==
'''
{
  "formula": "C67H148F12N8O12",
  "method": "the ωB97M-V functional and the def2-TZVPD basis",
  "spin_multiplicity": 1,
  "charge": 4,
  "energy_ev": -140935.134,
  "gap_ev": 4.17,
  "elements": ["C", "C", "C", "C", "N", "C", "C", "C", "C", "C", "H", "H", "H", "H", "H", "H", "H", "H", "H", "H", "H", "H", "H", "H", "H", "H", "H", "H", "H", "H", "C", "C", "C", "C", "N", "C", "C", "C", "C", "C", "H", "H", "H", "H", "H", "H", "H", "H", "H", "H", "H", "H", "H", "H", "H", "H", "H", "H", "H", "H", "C", "C", "C", "C", "N", "C", "C", "C", "C", "C", "H", "H", "H", "H", "H", "H", "H", "H", "H", "H", "H", "H", "H", "H", "H", "H", "H", "H", "H", "H", "C", "C", "C", "C", "N", "C", "C", "C", "C", "C", "H", "H", "H", "H", "H", "H", "H", "H", "H", "H", "H", "H", "H", "H", "H", "H", "H", "H", "H", "H", "C", "C", "O", "N", "H", "H", "C", "H", "H", "H", "H", "H", "H", "C", "C", "C", "O", "C", "N", "H", "H", "H", "H", "H", "H", "H", "H", "H", "H", "H", "H", "C", "C", "C", "O", "C", "N", "H", "H", "H", "H", "H", "H", "H", "H", "H", "H", "H", "H", "C", "C", "C", "O", "C", "N", "H", "H", "H", "H", "H", "H", "H", "H", "H", "H", "H", "H", "C", "O", "O", "C", "F", "F", "F", "C", "C", "H", "H", "H", "H", "H", "H", "C", "O", "O", "C", "F", "F", "F", "C", "C", "H", "H", "H", "H", "H", "H", "C", "O", "O", "C", "F", "F", "F", "C", "C", "H", "H", "H", "H", "H", "H", "C", "O", "O", "C", "F", "F", "F", "C", "C", "H", "H", "H", "H", "H", "H"],
'''
== Here the piece continues ==

John-Roger, DSS
Do not avoid areas of discomfort, areas in which you feel confused. On the contrary, check out those areas to determine what it is that may confuse or frighten you. You don't have to jump into them and feel confused or afraid; just objectively check them out within you. Write down what you think you don't know, and ask for clarity. Ask whom? The knower within you. You may be surprised to find the answers coming forth and freeing you from fears and limitations.

John-Roger, DSS
When you move to the power source of your beingness in the inner kingdom, you find happiness and joy. It is a dynamic joy, an active expression of happiness. Within that happiness is peace. It may not be jovial or raucous happiness; it is the warmth of your own consciousness united with the knowingness of your Soul. When those two aspects are one, happiness and peace are the natural result.

John-Roger, DSS
Much of the trick of keeping free and clear of karmic relationships with yourself has to do with attitude. There are very few things within our world that are inherently "good" or "bad," except as we label them. If you are to stay free and clear, it becomes important to place out as few judgments as possible, to maintain as neutral an attitude as possible. If you've had a "lousy" day, and you call it a "lousy" day, be aware that you are placing that attitude of "lousy" back on your consciousness because you're going to harvest that.

John-Roger, DSS